Date: February 25, 2013

<<<
Record 1
{
  "formula": "C24H24N2O3",
  "method": "ωB97M-V/def2-TZVPD",
  "total_charge": 0,
  "smiles": "CCOC(=O)[C@H]1CCCN(c2c(C(=O)c3ccccc3)cnc3ccccc23)C1",
  "e_above_lowest_kj_mol": 189.6,
  "orbital_gap_ev": 7.8,
  "symbols": ["C", "C", "O", "C", "O", "C", "C", "C", "C", "N", "C", "C", "C", "O", "C", "C", "C", "C", "C", "C", "C", "N", "C", "C", "C", "C", "C", "C", "C", "H", "H", "H", "H", "H", "H", "H", "H", "H", "H", "H", "H", "H", "H", "H", "H", "H", "H", "H", "H", "H", "H", "H", "H"],
  "xyz": [[-6.565, -1.249, 0.827], [-5.754, -0.194, 0.090], [-4.358, -0.315, 0.376], [-3.663, -1.208, -0.329], [-4.124, -1.901, -1.197], [-2.200, -1.182, 0.068], [-1.602, -2.592, 0.092], [-0.087, -2.538, 0.281], [0.536, -1.601, -0.753], [-0.048, -0.284, -0.613], [0.583, 0.789, -0.091], [1.971, 0.769, 0.188], [2.688, -0.366, 0.783], [2.199, -1.033, 1.685], [4.082, -0.602, 0.319], [4.993, -1.186, 1.196], [6.287, -1.446, 0.786], [6.676, -1.142, -0.509], [5.768, -0.582, -1.394], [4.476, -0.310, -0.985], [2.677, 1.983, 0.073], [2.144, 3.137, -0.196], [0.798, 3.224, -0.131], [0.226, 4.508, -0.167], [-1.109, 4.689, 0.074], [-1.903, 3.589, 0.410], [-1.382, 2.319, 0.393], [-0.041, 2.083, 0.036], [-1.440, -0.339, -0.977], [-7.623, -1.092, 0.639], [-6.380, -1.188, 1.896], [-6.289, -2.240, 0.476], [-6.024, 0.812, 0.418], [-5.901, -0.288, -0.991], [-2.108, -0.713, 1.051], [-2.057, -3.172, 0.896], [-1.845, -3.084, -0.853], [0.165, -2.168, 1.276], [0.338, -3.536, 0.174], [1.618, -1.564, -0.645], [0.310, -1.960, -1.764], [4.666, -1.420, 2.198], [6.993, -1.887, 1.474], [7.686, -1.347, -0.831], [6.070, -0.356, -2.406], [3.767, 0.120, -1.678], [3.752, 1.977, 0.202], [0.890, 5.341, -0.338], [-1.540, 5.678, 0.058], [-2.932, 3.739, 0.699], [-2.003, 1.510, 0.742], [-1.859, 0.659, -1.083], [-1.522, -0.845, -1.946]],
  "nbo_charge": [-0.634, -0.077, -0.509, 0.809, -0.604, -0.322, -0.396, -0.414, -0.206, -0.372, 0.332, -0.334, 0.556, -0.576, -0.184, -0.152, -0.216, -0.188, -0.238, -0.125, 0.110, -0.472, 0.162, -0.207, -0.184, -0.239, -0.205, -0.092, -0.204, 0.218, 0.211, 0.223, 0.190, 0.199, 0.226, 0.218, 0.216, 0.236, 0.218, 0.225, 0.197, 0.232, 0.216, 0.215, 0.216, 0.214, 0.200, 0.228, 0.213, 0.214, 0.212, 0.236, 0.210]
}

---

Record 2
{
  "formula": "C23H23CrN2O3",
  "method": "ωB97M-V/def2-TZVPD",
  "total_charge": 2,
  "spin_multiplicity": 4,
  "orbital_gap_ev": [7.3, 5.4],
  "symbols": ["O", "C", "Cr", "C", "O", "C", "O", "C", "C", "C", "C", "C", "C", "C", "C", "C", "C", "C", "C", "C", "C", "C", "H", "H", "H", "H", "H", "H", "H", "H", "H", "H", "H", "N", "C", "C", "C", "C", "C", "N", "H", "H", "H", "H", "H", "H", "H", "H", "H", "H", "H", "H"],
>>>

Time: 6:30 p.m.

Place: Manitowoc County Office Complex

Attendance: 19

Education: Plant Clinic – Gladwyn; Chelle – WIMGA website – 30 min.

The February meeting was called to order by President Pat Hollen. Minutes of the January board meeting were approved as read. The treasurer provided her report.

New Business

It was decided at a recent board meeting that we wouldn’t be working at the zoo this coming year. There haven’t been enough volunteers, and areas at the zoo have been changed and moved, challenging our work there. We will be doing more volunteer work at Woodland Dunes as well as working on other projects.

Program changes will include a program from Seed Saver’s Exchange for March, and a tour of Chelle’s gardens for the August meeting, possibly combined with another topic of interest. No program is currently scheduled for our September meeting.

Doris provided us with information from Woodland Dunes on the prices for a memorial plaque for the tree planted in memory of Dorothy Bugs. A brick would cost $75 and the price on a boulder would be $200. Ann Unertl made a motion to purchase a boulder from Woodland Dunes at a cost of $200 to be used as a marker. Judy Lango seconded the motion and the motion carried.

The Two Rivers High School garden project will be discussed at the March meeting.

New Business

It was decided at the January board meeting that we need to consider budgetary guidelines. Pat asked Carol and Judy Lango to meet with Doris before the March meeting and provide us with a breakdown on a monthly basis as well as project expenditures.

Following a recent conference call with Mike Maddox, new Master Gardener Program Director, an education committee was formed to assist in facilitating the basic class. Mike stressed that it is not necessary to offer the class each year. This committee will also work to set up some projects for members to achieve volunteer hours.

Ann Unertl reported that the Garden Walk will be held on Saturday, July 13th, with nine gardens on the tour. Volunteers are needed, and Thursday, July 11th, will be the night that the volunteers can tour the gardens.

No report was available from Pat Wiegert regarding the Annual Dinner in April.

A discussion took place regarding a memorial for Karen Seipel. Some ideas included planting a tree by the Veteran’s memorial, donating plants for this area, or donating a book in her memory to the library. Marilyn Kroening will look further into these ideas and advise us at a future meeting.

Judy Lango handed out certificates and awards for those members who achieved 1000, 500, 250, and 150 volunteer hours.

********
# 1
ORCA calculation (the ωB97M-V functional and the def2-TZVPD basis) on a gas-phase ion, C10H10N3O (charge +1) at a distorted geometry.

LUMO energy: -0.1896 Ha
energy relative to the best compared isomer or geometry (same formula, charge and spin): 50.6 kcal per mole
SMILES string: O=c1[nH]cc2ccccc2cc[nH+][nH]1
total charge: +1
orbital gap: 7.81 eV
electronic energy: -17039.9207 eV
molar mass: 188.21 g/mol
multiplicity: 1
strongest force on any atom: 5.03 eV/A

Geometry as XYZ:
```
24
Properties=species:S:1:pos:R:3:nbo_charge:R:1
C 3.291 -0.230 -0.533 -0.148
C 3.025 -1.361 0.270 -0.179
C 2.297 0.539 -0.974 -0.173
C 1.758 -1.735 0.493 -0.160
C 0.955 0.392 -0.508 -0.023
C 0.702 -0.777 0.190 -0.172
C -0.009 1.523 -0.529 -0.223
C -1.053 1.872 0.249 -0.007
C -3.048 -0.609 -0.380 0.776
C -0.710 -1.111 0.445 0.327
N -1.632 -0.891 -0.570 -0.580
N -3.017 0.512 0.384 -0.464
N -1.844 1.048 1.038 -0.468
O -3.902 -1.248 -0.867 -0.470
H 4.328 -0.174 -0.640 0.243
H 3.811 -2.073 0.420 0.237
H 2.524 1.474 -1.560 0.238
H 1.633 -2.637 1.152 0.248
H 0.432 2.439 -1.085 0.253
H -1.377 2.933 0.333 0.214
H -1.009 -1.560 1.503 0.270
H -1.156 -0.657 -1.446 0.443
H -3.876 0.779 0.761 0.416
H -2.122 1.551 1.854 0.404
```

---

# 2
ORCA calculation (the ωB97M-V functional and the def2-TZVPD basis) on a molecular structure, C3HNO3S at a distorted geometry.

LUMO energy: 0.2360 Ha
energy relative to the best compared isomer or geometry (same formula, charge and spin): 66.4 kcal per mole
total charge: -2
orbital gap: 5.25 eV
electronic energy: -21591.3909 eV
molar mass: 131.11 g/mol
multiplicity: 1
strongest force on any atom: 4.37 eV/A

Geometry as XYZ:
```
9
Properties=species:S:1:pos:R:3:nbo_charge:R:1
C 1.681 -0.760 -0.390 0.257
C 1.379 -0.269 0.773 0.305
C -1.165 0.710 -0.317 0.490
N -1.478 -0.032 0.756 -0.945
O 1.434 -1.521 -1.340 -0.697
O 1.755 0.148 1.878 -0.714
O -1.907 0.939 -1.311 -0.820
S 0.589 1.278 -0.508 -0.177
H -2.288 -0.492 0.459 0.301
```

---

# 3
ORCA calculation (the ωB97M-V functional and the def2-TZVPD basis) on 2 unconnected molecules or ions with the total composition C2H11N4O at a distorted geometry.

LUMO energy: -0.1239 Ha
energy relative to the best compared isomer or geometry (same formula, charge and spin): 77.5 kcal per mole
total charge: +1
orbital gap: 10.82 eV
electronic energy: -10251.6059 eV
molar mass: 107.14 g/mol
multiplicity: 1
strongest force on any atom: 4.21 eV/A

Geometry as XYZ:
```
18
Properties=species:S:1:pos:R:3:nbo_charge:R:1
C 1.145 1.803 -0.159 -0.692
C 0.683 0.602 -0.980 0.663
N -0.095 -1.535 1.768 -1.130
N -1.135 0.765 0.419 -0.681
N -0.551 0.257 -0.700 -0.027
N -1.287 -0.801 -1.266 -0.584
O 1.239 -0.069 -1.984 -0.641
H 0.248 2.368 -0.214 0.280
H 1.906 2.356 -0.673 0.250
H 1.155 1.502 0.917 0.288
H 0.234 -2.323 1.189 0.376
H -0.962 -1.951 2.213 0.384
H -2.222 0.864 0.350 0.399
H -1.077 0.032 1.188 0.415
H 0.653 -1.560 2.563 0.403
H -0.560 -1.222 -1.829 0.378
H -1.458 -1.406 -0.431 0.371
H 2.084 0.317 -2.373 0.548
```
********

Theresa Worachek would like some speakers for a program she is having on Saturday, April 13. Paula suggested that she could set up a “Thrifty Gardening” booth, and Annette suggested that the “Got Dirt” PowerPoint may be a possibility.

Chelle and Paula are looking for volunteers for the Urban Green Gang 2013 projects and distributed a sheet listing dates when help is most needed.

Pat asked for suggestions for locations for our Annual Dinner banquet. One suggestion was Gib’s On The Lake.

Annette provided information on the Lakeshore Natural Resources Partnership committee.

The meeting adjourned at 7:50 p.m.

Respectfully submitted

Judy Tisler
